Saturday, February 1, 2014

A Talisman

What do you think?  

A horseshoe is said to bring good luck? 

We built our new house on property that was an old farm a hundred years ago. 

When we take our dogs across the fields we find all kinds of treasures. 

So, here is the question.
Should we hang the horseshoe with the ends pointing up?

So it will trap good luck within?  

 Or hang it with the ends pointing down so that it will release its luck to everyone who comes near.

What do you think?

Until I hear from you,  I will hang them both ways. 
(Just to make sure, for I want my team to win).   

Have a great Superbowl Sunday, my dear

Blogging Friends.



  1. With the ends above to be a trap for good luck.We found more than 50 horseshoes on the propertie at Carolinenthal manor... it is more than 100 years old ,too.They all hang in the horse stable with ends show down to earth.
    Greetings from farm land,Katja

    1. Hello Katja, 50 horseshoes. That's a bunch. Would add a bit of weight to a wall. You have enough horseshoes to make something. Maybe a fence around a flower bed. You probably like them just where they are. Thank you for your visit. It is very much appreciated..

  2. Dearest Gina ,i am an old follower ,I am an old follower ,I am watching because I like your posts but I never comment you .
    About your horseshoe ,I think that you must hang it with the ends pointing down ! I put like the other way mine and Rosemary told me that is not good !!! Have a nice day ! Olympia

    1. Hello Olympia, Thank you for visiting. It is so nice to meet you and thank you for being a follower. Rosemary is probably right. We should hang them with points up so that our luck does not run out.

  3. Dear Gina - Olympia has answered for me - however, there seems to be a little misunderstanding. I always keep the horseshoe with the ends pointing up to keep the luck in - I was told that if it hangs the other way, the luck just falls out. Your interpretation, Gina, of the luck passing to the people around is a much nicer idea. Surely this must mean either way is OK. I hope that whatever way you hang it, your talisman brings you both good health, and lots of luck♥

    1. Dear Rosemary, Thank you for your good wishes. It's a good thing hat we have found several horse's shoes so that we can hang them either way. I'm a little superstitious and will probably hang more with ends pointing keep the luck far so good.

  4. Dear Gina,

    Clearly we need to have more people like Rosemary in the diplomatic corps. I agree with her answer completely. The shoe should be hung upwards so as to collect and retain good luck. But if you believe that good luck streams outward with the shoe pointing down, you won't be wrong (because — I believe — it all comes down to the consciousness of your good intentions).

    1. Bravo Mark, Yes indeed, we need Rosemary to head not just our diplomatic corps but also our Intelligence agencies. As for me, my consciousness of good intentions never wanders very far. Happy Superbowl Sunday. Gina

  5. Dear Gina,
    I also think that what you believe in and your intentions are the power behind the object. So either way you can't be wrong.
    Have a great Sunday, Sieglinde

    1. Dear Sieglinde, I think that the overwhelming census points toward the ends going skyward. Of course, the horse wore them sideways. I think the horse knew the better way all along.

  6. Which way, best way, creative way, spreading/keeping luck way - oh my, I had no idea horseshoes could be so complicated, haha! I have one and it just lies flat as a paperweight, easier than hanging whichever way!
    Our cottage is built on a former farm - have never found a horseshoe BUT did unearth a tractor seat when digging some years back!

    Lovely pics Gina - as you have more than one perhaps one up, one down, can cover all the bases!
    Hugs - Mary

  7. Dear Mary, What did you do with your tractor seat? Around here we see many abandoned farm implements...all without seats. I wonder if they have become bar stools.
    You are right, Some will go up, some down.

  8. I love the horseshoe and its meanings. I wish you luck either way your hang your horseshoe! Have a happy week ahead!

    1. Hello Eileen, Thank you for your good wishes. Also wishing you a happy week ahead.

  9. Some up and some down sound good to me!

    1. Hello Camera Girl, Will do just that. Thank you for your visit.

  10. How about down on the way into your property so that those entering will bring the luck in with them, and down once inside so that the luck doesn't all leak out.

    1. Hello Pondside, What a great idea. Hadn't thought of that.

  11. The horseshoes are certainly full of character. I have no opinion on which way to hang them - whatever suits you best. Have a great week ahead!

# What comes next are records of crystals, not part of the piece
____________
(1)
Material: Ho2Sc3Si4
Method: DFT, GGA-PBE
State: relaxed

Computed properties:
crystal system	orthorhombic
energy of formation	-799	meV/atom

a b c (Å): 7.087 13.990 7.380
angles (deg): 90.00 90.00 90.00
Space group Pnma (No. 62)
One atom of each set of equivalent atoms:
Ho: 0.012 0.097 0.175 [8 per cell]
Sc: 0.161 0.750 0.503 [4 per cell]
Sc: 0.170 0.125 0.677 [8 per cell]
Si: 0.033 0.750 0.118 [4 per cell]
Si: 0.158 0.539 0.465 [8 per cell]
Si: 0.215 0.250 0.374 [4 per cell]


(2)
Material: BaMg14BiO16
Method: DFT, GGA-PBE
State: relaxed

Computed properties:
crystal system	orthorhombic
distance to the lowest polymorph of the same formula	27.7	meV/atom
energy of formation	-2599	meV/atom

a b c (Å): 4.621 8.853 9.141
angles (deg): 90.00 90.00 90.00
Space group Pmmm (No. 47)
One atom of each set of equivalent atoms:
Ba: 0.000 0.000 0.000 [1 per cell]
Mg: 0.000 0.268 0.249 [4 per cell]
Mg: 0.000 0.500 0.000 [1 per cell]
Mg: 0.000 0.500 0.500 [1 per cell]
Mg: 0.500 0.000 0.249 [2 per cell]
Mg: 0.500 0.266 0.500 [2 per cell]
Mg: 0.500 0.267 0.000 [2 per cell]
Mg: 0.500 0.500 0.250 [2 per cell]
Bi: 0.000 0.000 0.500 [1 per cell]
O: 0.000 0.000 0.259 [2 per cell]
O: 0.000 0.271 0.500 [2 per cell]
O: 0.000 0.282 0.000 [2 per cell]
O: 0.000 0.500 0.256 [2 per cell]
O: 0.500 0.000 0.000 [1 per cell]
O: 0.500 0.000 0.500 [1 per cell]
O: 0.500 0.250 0.251 [4 per cell]
O: 0.500 0.500 0.000 [1 per cell]
O: 0.500 0.500 0.500 [1 per cell]


(3)
Material: Ca11Os2N10
Method: DFT, GGA-PBE
State: relaxed

Computed properties:
crystal system	tetragonal
energy of formation	-510	meV/atom

a b c (Å): 15.531 15.531 3.540
angles (deg): 90.00 90.00 90.00
Space group P4_2/mnm (No. 136)
One atom of each set of equivalent atoms:
Ca: 0.000 0.000 0.000 [2 per cell]
Ca: 0.004 0.224 0.500 [8 per cell]
Ca: 0.102 0.617 0.000 [8 per cell]
Ca: 0.208 0.208 0.000 [4 per cell]
Os: 0.146 0.854 0.000 [4 per cell]
N: 0.048 0.324 0.000 [8 per cell]
N: 0.077 0.077 0.500 [4 per cell]
N: 0.134 0.134 0.500 [4 per cell]
N: 0.225 0.775 0.000 [4 per cell]


Number 1: theoretical density 5.2 g/cm³, final energy -0.2341 Ha/atom. Number 2: theoretical density 4.2 g/cm³, final energy -0.2062 Ha/atom. Number 3: theoretical density 3.7 g/cm³, final energy -0.2173 Ha/atom.


No. 1
## Mn2ZnO5 (PBE with a Hubbard U)

Data for crystalline Mn2ZnO5 at its relaxed geometry.

## Properties
**Size of the total moment**: 12.00 Bohr magnetons per cell
**Total DFT energy (no corrections)**: -6.20 eV/atom
**SG**: Pmmn (59)
**Crystal system**: orthorhombic
**ΔE to the lowest computed polymorph**: 0.033 eV per atom

Lattice parameters (Å, degrees): 3.547 11.676 4.410 90.00 90.00 90.00
Atoms (fractional coordinates):
Mn: 0.250 0.098 0.053
Mn: 0.250 0.402 0.053
Mn: 0.750 0.598 0.947
Mn: 0.750 0.902 0.947
Zn: 0.250 0.750 0.432
Zn: 0.750 0.250 0.568
O: 0.250 0.135 0.447
O: 0.250 0.250 0.923
O: 0.250 0.365 0.447
O: 0.250 0.572 0.049
O: 0.250 0.928 0.049
O: 0.750 0.072 0.951
O: 0.750 0.428 0.951
O: 0.750 0.635 0.553
____________

    1. Hello Lorrie, Being half buried the horseshoes have acquired a wonderful patina. One that would be difficult to copy. Thank you for visiting and leaving a comment.

  12. Hi Gina,

    I'm sure a little research on the most beneficial way to hang horseshoes wouldn't take a second! Both your interpretations are logical, though. How wonderful it must be to take a walk around your property and discover such gems, each with a story to tell, I'm sure, if it could. Dreamy!


    1. Hello Poppy,I did a little research and came up with nothing new. The debate will continue. Prior to the old farm, this property was also visited by several Indian tribes. Every now and then a little bit of history surfaces.

  13. Hello Gina. That was a lucky find. I love the textures and colours of that horseshoe. I very rarely follow rules of should or shouldn't but usually do what feels right to me by instinct, so I'm the wrong person to Hope your week is shaping up nicely. :)

    1. Hello Veronica and thank you for stopping by and leaving a comment. Wishing you a great remainder of the week.

  14. Horses shoe them down, humans hold them up ;) That is my thought and oh so pretty your images!

  15. I am late in commenting Gina.
    Here goes. Here in Portugal, the horseshoe is for good luck. Its always with the open end down.. the rounded part at the top.
    this brings good luck to all who enter the house. .... the horses are shod down..
    I like this post. I can imagine the apple comes from your apple orchard.
    happy days and hope your team won..
    val x

    1. Dear Val, No, my team did not win. And yes, the apple comes from our apple trees who are all under several feet of snow right now, waiting, along with me for Spring to come. Thank you Val for stopping by. Have a great week.

  16. Hi Gina, I just found you from your post for Mosaic Monday on Little Red House. Umm, I should keep my mouth shut but I guess I'll throw in my thoughts about up or down... I too live on an old farm, actually we live in the converted barn which is 100+ years old. I have my horseshoes pointing up as my friend who works at Yankee Magazine Publishing me said up is to keep the good luck flowing through the house! Who knows, I would say if you have some up and some down you hedge your bets with one being right! LOL!
    Hugs and thanks for sharing your lovely photos. A new friend up in New Hampshire.
    Beth P

    1. Hello Beth, I am so happy that you stopped by. I would love to hear more about your converted barn, Have you posted pictures of it in your blog? I will have to look for it. Thank you for your kind comments and thank you also for becoming a new Follower.

  17. Hi Gina, this is a delightful debate. I wonder if putting a basket or other receptacle under the ones pointing down will help catch any luck that falls out. Just in case : )

    1. Hello Darlene, Of course that would work. What a great idea. Why didn't I think of that!.

  18. Hello Katie, I'm so glad that you "found" me. You have made my day.

  19. Yes, also in German culture a horse shoe brings good luck. I think it doesn't matter which way it be hanged up. We have found an old one here at La Pouyette, almost identical with yours! It sits on a table outside the living room window.
    Love your images - beautiful as always, my Dear.

    1. Dear Karin, It must be a universal belief that Horseshoes bring us luck. All of us can use a little extra. Thank you for stopping by and leaving such a lovely comment. ox, Gina
